Lady Lynn Forester de Rothschild, sounds like a soap opera name, but she's a real woman. She a part of the Hillraisers, a group of super rich people who forked over thousands to Hill-Hill's campaign.
Well Missy-Miss is not trying to keep hope alive in the Dems' world. She and a few more Hill-folks are stalling to help Obama.
"This is a hard decision for me personally because frankly I don't like him. I feel like he is an elitist. I feel like he has not given me reason to trust him," she said.
Really, well lets look at your "commonwealth" back ground, de Rothschild.
• Here the piece breaks off for molecular data:
ORCA calculation (ωB97M-V with the def2-TZVPD basis set) on one molecule with the formula C5H11NO.

Results
- Energy above the lowest of the compared OMol25 structures with the same formula, charge and spin: 84.6 kcal/mol
- Total charge: 0
- 2S+1: 1
- Gap between HOMO and LUMO (alpha / beta): 7.72 / 7.72 eV
- LUMO energy (alpha / beta): 0.59 / 0.59 eV

Each atom is followed by the atoms it is bonded to, with distances in Å.
Cartesian coordinates (Å):
1 O 2.245 -0.197 1.332  C3 1.401, H14 0.979
2 N -0.025 0.639 -0.445  C4 1.335, C5 1.366, C6 1.471
3 C 1.452 -1.078 0.586  O1 1.401, C6 1.531, H8 1.096, H10 1.104
4 C -1.342 0.538 -0.647  N2 1.335, C7 1.490, H12 1.084
5 C 0.391 1.777 0.186  N2 1.366, H15 1.085, H18 1.083
6 C 0.933 -0.444 -0.709  N2 1.471, C3 1.531, H11 1.098, H13 1.096
7 C -2.159 -0.622 -0.193  C4 1.490, H9 1.092, H16 1.093, H17 1.103
8 H 2.079 -1.938 0.327  C3 1.096
9 H -3.183 -0.530 -0.563  C7 1.092
10 H 0.592 -1.455 1.165  C3 1.104
11 H 1.786 -0.004 -1.243  C6 1.098
12 H -1.833 1.486 -0.832  C4 1.084
13 H 0.457 -1.186 -1.360  C6 1.096
14 H 1.726 0.631 1.386  O1 0.979
15 H 1.205 2.363 -0.228  C5 1.085
16 H -1.761 -1.594 -0.499  C7 1.093
17 H -2.212 -0.622 0.908  C7 1.103
18 H -0.351 2.235 0.828  C5 1.083

~~~~~

1.
The following is a DFT calculation (wB97M-V/def2-TZVPD) of the molecule C4H8O2.

E_LUMO: 0.791 eV

ORCA input file:
```
! wB97M-V def2-TZVPD RIJCOSX def2/J DEFGRID3
* xyz 0 1
C -1.26 -1.09 -0.13
C -0.74 0.24 -0.67
C 0.42 0.84 0.12
O 0.09 1.01 1.47
C 1.71 0.05 0.00
O 2.39 -0.19 0.96
H -2.13 -1.42 -0.70
H -1.56 -0.97 0.92
H -0.51 -1.88 -0.18
H -1.55 0.97 -0.67
H -0.42 0.13 -1.72
H 0.66 1.82 -0.34
H 0.88 0.75 1.97
H 2.01 -0.25 -1.02
*
```

Atomic partial charges in e from the Löwdin method, atoms 1 to 4: atom 1 (C): -0.10, atom 2 (C): -0.21, atom 3 (C): -0.39, atom 4 (O): -0.01

2.
The following is a DFT calculation (wB97M-V/def2-TZVPD) of a cluster of 7 separate species, C28H74N4O13 in total.

E_LUMO: 0.528 eV

ORCA input file:
```
! wB97M-V def2-TZVPD RIJCOSX def2/J DEFGRID3
* xyz 0 1
C 0.22 -1.60 6.36
O -1.07 -1.24 6.13
C -1.96 -2.18 6.63
C -3.28 -1.99 5.94
C -3.60 -0.52 5.57
N -4.29 -2.67 6.77
H 0.38 -2.68 6.16
H 0.61 -1.36 7.36
H 0.87 -1.12 5.63
H -1.59 -3.18 6.40
H -2.11 -2.08 7.73
H -3.30 -2.63 5.04
H -2.75 -0.10 4.98
H -3.62 0.16 6.43
H -4.44 -0.38 4.88
H -5.19 -2.53 6.32
H -4.34 -2.23 7.70
C 2.79 1.85 1.05
O 4.11 2.13 0.73
C 5.10 1.28 1.34
C 5.54 0.20 0.35
N 6.21 0.73 -0.81
C 7.51 1.20 -0.58
C 8.07 1.80 -1.86
O 7.27 2.78 -2.36
C 7.73 4.07 -2.01
H 2.26 1.47 0.16
H 2.30 2.79 1.33
H 2.60 1.11 1.85
H 4.70 0.87 2.27
H 5.94 1.95 1.55
H 4.63 -0.30 -0.01
H 6.18 -0.58 0.79
H 5.65 1.44 -1.25
H 8.11 0.35 -0.25
H 7.53 1.95 0.24
H 8.21 1.01 -2.61
H 9.11 2.16 -1.66
H 8.69 4.29 -2.51
H 7.79 4.21 -0.93
H 7.01 4.78 -2.43
C -3.49 -4.22 0.47
O -2.53 -3.24 0.32
C -3.04 -2.20 -0.46
C -1.96 -1.39 -1.01
N -1.08 -0.73 -0.03
C -1.85 0.08 1.00
C -0.99 1.12 1.62
O -0.49 2.02 0.69
C -1.45 2.89 0.17
H -3.06 -5.17 0.77
H -3.99 -4.41 -0.49
She was married to British banking scion Sir Evelyn de Rothschild, you are mega rich, you are considered a socialite in New York, and you 'Lady' before your name. So in someways, I can or think of you as an elistist.
And please, you are a smart person. Obama is the fresh batch of chicken wings right now. Your actions isn't helping anything so get off your billion dollar box help us win. And to the others, who are willing to jump ship...
I totally agree- for some of these folks to claim that Obama is elitist, is hypocritical beyond belief.
ReplyDeleteI have to wonder at the end of the day, is Hillary behind the Hillraisers attempts to sabotage an Obama presidency? I hope not. But if Hillary really wants them to donate to Obama, then I would think they would, particularly given they are swimming in money.
Now you are going after her for the way her name sounds???
ReplyDeleteA Barak Hussein Obama supporter? Ha, ha.
As a Hillary supporter or a democrat in general, please tell me why our Presidential nominee voted to continue FISA, is against campaign finance reform, is for expanding the death penalty, went to a racist church for years, joining as an adult, praised conservative justices on the DC gun ban refersal, is for continuing faith based funding of schools, charities and hiring with our tax payers dollars.
What about any of these positions is in alignment with the Democratic Party Platform?
And this is the guy the ultra-loony left pushed over the top for the nomination? I'll take HRC anyday. At least she is sincere, experienced and you know what you are getting with her.
Obama now seems more conservative than McCain.
I don't know who this guy is and don't trust a thing he says at this point.
Now you are going after her for the way her name sounds???
ReplyDeleteA Barak Hussein Obama supporter? Ha, ha.
As a Hillary supporter or a democrat in general, please tell me why our Presidential nominee voted to continue FISA, is against campaign finance reform, is for expanding the death penalty, went to a racist church for years, joining as an adult, praised conservative justices on the DC gun ban refersal, is for continuing faith based funding of schools, charities and hiring with our tax payers dollars.
What about any of these positions is in alignment with the Democratic Party Platform?
And this is the guy the ultra-loony left pushed over the top for the nomination? I'll take HRC anyday. At least she is sincere, experienced and you know what you are getting with her.
Obama now seems more conservative than McCain.
I don't know who this guy is and don't trust a thing he says at this point.
independent voter here. disliking obamas "ways" and "words" alot lately and wonder if i really know who this guy is. starting to hear mccain say some things that i like and i believe him when he speaks so if i had to vote right now it owuld be for mccain.
ReplyDeleteHow a thinking human being could even start to believe that they "like" some things McCain says.
Obama isn't perfect, neither was Hillary and McCain is the farthest from what our country needs right now.